The story in this week's Gospel is a perfect example of the process of the faith journey and it outlines for us the three stages of one's faith journey. Matthew's story actually begins at the end of another story - the miracle of the loaves and fishes. Jesus has compassion for the crowds and feeds them with a few loaves of bread and a couple of fish. Immediately after that, he packs up the apostles in a boat, sends them off to the opposite shore of the lake and He goes off alone to pray.
The Gospels are full of examples of Jesus going off to pray, either alone or with the disciples, either right before or right after a significant event. He needs the time to be with the Father, to thank Him, to be refreshed, to come to know His Father even more fully.
So in today's account, Jesus goes off in one direction, the apostles in the other. And we know what happens next. They see someone or something with the appearance of a ghost coming towards them, and not knowing what to do they cry out in fear. This perhaps is the first stage of faith: sensing a Presence in our lives, not really knowing who or what that Presence is, and becoming fearful.
Jesus understands their fears and immediately says: "Take heart. It's me. Don't be afraid." Peter recognizes His voice. He may not be able to clearly see Jesus but he knows it's him. Recognition: the second stage of faith. So what does Peter do? He calls out: "Lord, if it is you, command me to come to you on the water." Responding to the Lord's invitation, he jumps over the side and attempts to meet Jesus, only to fail miserably. It is not Peter's lack of faith that causes him to sink into the water. It is his fear. He thought he could go it alone, and discovered very quickly that he couldn't.
Back in the boat, safe again, together the apostles proclaim their faith in the Son of God. And this, finally, is perhaps the most important stage of faith. It is only together that we can really come to know who Jesus is. And by knowing Him we come to understand who the Father is. We are all, quite literally, in the same boat. We share together the turbulent seas of the storm as well as the gentle ripple of the water against the side of the boat on a calm day. We cannot walk upon the water alone but together we can.
Perhaps the lesson here is that it is OK to be afraid. God will love us despite our fears and tremblings. But fear can and must be overcome. And our God goes to great pains to constantly remind us of this. Together we can break through fear and come to peace, together as a community.
This is a particularly powerful message today, given the current state of society - seemingly without care and compassion. Jesus tells us that there is no such thing as an "outsider" and that we are all children of God. The Gospel Story this week reminds us very pointedly that we cannot exist on our own, without sustenance from He who is our Source of Life and Love. It is a lesson that we all need to remember when the weather worsens, when the winds whip up, when we seem to sense a ghostly presence that makes us afraid, and when we cry out from the depths, hoping that God will answer. And it also drives home the fact that we cannot exist without the support and love of one another.
Jesus is the Presence among us who interprets for us what may seem to be incomprehensible. He makes our hearts burn again as once they burned before. And he comes to us not as a "ghost" walking on the water but as He always said He would. He comes to us as the hungry man, the thirsty woman, the naked child, the sick, the homeless, the refugee and as those who think, act and live in ways that are totally contrary to our own. Like the first disciples, we are expected to translate this mystery into the kind of faith, hope and love that we need to refashion our world.
Quantum chemistry results that have nothing to do with the piece:
~~~
# 1
DFT (ωB97M-V with the def2-TZVPD basis set) results for a molecular structure, C55H47AsGeIInN7O4S in a non-equilibrium geometry.

Output
gap between HOMO and LUMO (alpha / beta) = 5.3 / 5.3 eV
electronic energy = -8006.78200 Eh
HOMO energy (alpha / beta) = -8.9293 / -8.9287 eV
energy above the lowest of the compared OMol25 structures with the same formula, charge and spin = 2.9 kcal/mol
LUMO level (alpha / beta) = -0.1333 / -0.1333 hartree
charge = +1

Positions of all 118 atoms, in Å:
In: 12.9392 12.6853 15.8917
N: 14.2311 11.1645 11.6550
C: 14.3287 11.4421 12.9909
N: 13.5841 12.4238 13.5686
C: 12.6548 13.0655 12.8323
N: 11.9069 14.0349 13.3077
N: 12.1909 14.2616 14.5478
C: 11.6815 15.2554 15.2416
C: 12.0284 15.4880 16.6081
C: 11.5294 16.5621 17.4064
C: 12.0215 16.7463 18.7041
C: 12.9535 15.8180 19.1923
C: 13.3804 14.7907 18.3903
N: 12.8714 14.5937 17.1674
C: 12.3706 12.6459 11.4750
C: 11.3059 13.1842 10.7524
C: 11.0879 12.7648 9.4432
C: 11.9160 11.8156 8.8450
C: 12.9523 11.2431 9.5624
C: 13.1911 11.6712 10.8735
H: 14.8020 10.4273 11.2610
H: 15.3356 11.3302 13.4150
H: 10.9781 15.8845 14.6860
H: 10.7953 17.2436 16.9992
H: 11.7140 17.5868 19.2976
H: 13.3260 15.9319 20.1947
H: 14.1115 14.0575 18.7247
H: 10.6449 13.9100 11.2206
H: 10.2684 13.1996 8.8778
H: 11.7360 11.5153 7.8166
H: 13.5946 10.4916 9.1203
N: 9.5398 12.9893 17.0385
C: 9.9590 11.9123 16.3931
O: 10.8477 11.9806 15.4609
C: 9.4494 10.6079 16.8776
I: 7.2630 10.5062 16.9867
H: 9.7418 13.9346 16.7379
H: 8.7148 12.8316 17.6177
H: 9.8400 10.4868 17.8995
H: 9.7757 9.7420 16.2851
C: 16.2876 6.5817 11.1222
C: 16.8180 7.2108 12.2424
C: 16.0076 8.0475 13.0098
C: 14.6737 8.2226 12.6809
C: 14.1484 7.6216 11.5461
C: 14.9746 6.7915 10.7710
As: 13.6619 9.4011 13.9766
C: 11.7814 9.0050 13.6469
C: 10.9560 9.5241 12.6579
C: 9.5914 9.2339 12.6768
C: 9.0598 8.3842 13.6326
C: 9.8922 7.8351 14.6083
C: 11.2587 8.1284 14.6361
C: 12.2241 7.5966 15.6088
C: 11.9248 6.7972 16.7375
C: 12.9383 6.4014 17.5967
C: 14.2524 6.7635 17.3470
C: 14.5754 7.5190 16.2229
C: 13.5625 7.9829 15.3824
H: 16.9132 5.9457 10.5320
H: 17.8465 7.0439 12.5242
H: 16.4085 8.5888 13.8621
H: 13.0962 7.7401 11.3052
H: 14.5638 6.3111 9.8921
H: 11.3682 10.1252 11.8563
H: 8.9463 9.6949 11.9461
H: 8.0097 8.1265 13.6231
H: 9.4734 7.1649 15.3408
H: 10.9072 6.5511 16.9702
H: 12.6975 5.8244 18.4837
H: 15.0263 6.4684 18.0279
H: 15.6142 7.7367 15.9952
O: 14.7044 11.9336 16.8565
S: 14.5542 10.4143 16.6214
N: 13.3160 10.4391 15.6020
O: 13.4198 9.9575 18.1941
C: 13.0718 11.0130 18.8620
O: 12.2948 11.9258 18.3945
C: 13.8683 11.2379 20.1798
C: 15.3792 10.8434 20.1366
Ge: 16.8184 12.0858 19.6369
C: 17.3649 12.0528 17.7337
C: 17.6456 10.7978 17.1813
C: 17.8366 10.6537 15.8100
C: 17.7588 11.7454 14.9709
C: 17.5487 13.0037 15.5200
C: 17.3730 13.1472 16.8916
C: 16.2440 13.7356 20.5711
C: 15.6965 13.6055 21.8500
C: 15.3421 14.7185 22.5909
C: 15.5508 15.9956 22.0944
C: 16.0731 16.1373 20.8210
C: 16.4676 15.0096 20.0947
C: 18.4743 11.4725 20.5095
~~~
The quantum chemistry results stop here:
This is how we experience the faith journey and we can only do this together.